Colonial Discourse and the Suffering of Indian American Children Book Cover.webp
We examine the impact of the current colonial-racist discourse around Hindu Dharma on Indians across the world and prove that this discourse causes psychological effects similar to those caused by racism: shame, inferiority, embarrassment, identity confusion, assimilation, and a detachment from our cultural heritage.

Sāmavidhāna Brāhmaṇa

From Hindupedia, the Hindu Encyclopedia

By Swami Harshananda

Sāmavidhāna Brāhmaṇa is one of the nine Brāhmanas of the Sāmaveda available now. It has three prapāṭhakas or prakaraṇas or chapters, known respectively as Krcchra, Atikrcchra and Krcchrātikrcchra. The first two have eight anuvākas[1] each and the last one has nine. Unlike the other works of Vedic literature, this Brāhmaṇa does not deal with sacrifices at all. For the benefit of those who cannot perform Vedic sacrifices to get what they want, it prescribes several kṛcchras or rites of a magical nature using the appropriate sāmans as the mantras. Hence it looks like a fore-runner of several topics dealt with in the later dharmaśāstra and tāntrik literature. These topics can be briefed as:


Anuvāka 1[edit]

  • Creation of the world from Brahmā
  • Praise of sāmans that can grant whatever we want
  • Brief account of yajñas in general

Anuvāka 2[edit]

  • Description of the kṛcchras of various types along with the rules to be followed.

Anuvāka 3[edit]

  • Rules guiding Vedic studies
  • Results of some sacrifices like Pavamāneṣṭi

Anuvāka 4[edit]

Anuvāka 5[edit]

  • Some prāyaścittas or expiations including the sāmans to be chanted

Anuvākas 6, 7 and 8[edit]

Some more expiations for sins like accepting prohibited gifts, killing a cow, selling things which should not be sold, evil dreams and so on.

Atikrcchra Prapāthaka[edit]

Anuvāka 1[edit]

  • Sāmans to be employed for attaining long life
  • Purification of oneself
  • Going to Brahmaloka after death
  • Gaining good health

Anuvākas 2 to 8[edit]

These prescribe the japa of various sāmans for:

  • Destruction of sins
  • For easy and safe delivery of babies
  • For getting a good son
  • For eliminating the evil effects brought about by malignant spirits
  • For removing the effects of poisons
  • For safe pilgrimage
  • For attaining fame or any other desire
  • Etc.

Krcchrātikrcchra Prapāthaka[edit]

All the nine anuvākas deal with the similar topics such as:

  • Sāmans to be used for attaining wealth
  • How to perform vāstuhoma
  • How to discover hidden wealth
  • Means of getting a vision of any deity
  • Means of controlling the minds of others
  • dhana for obtaining mokṣa or liberation

Impression of Sāmavidhāna Brāhmaṇa[edit]

The work traces the paramparā[3] of teaching thus:

  1. Brahmā to Bṛhaspati
  2. Bṛhaspati to Nārada
  3. Nārada to Vyāsa
  4. Vyāsa to Jaimini

Commentaries on Sāmavidhāna Brāhmaṇa[edit]

~~~
1.
Here is BaTl2CdPt at its PBEsol-relaxed geometry from Alexandria via LeMat-Bulk. Energies are from meta-GGA SCAN.

The structure in CIF format:
```
data_BaTl2CdPt
_chemical_formula_sum 'Ba1 Tl2 Cd1 Pt1'
_cell_length_a 5.9131
_cell_length_b 6.1365
_cell_length_c 6.1365
_cell_angle_alpha 90.00
_cell_angle_beta 90.00
_cell_angle_gamma 90.00
_symmetry_space_group_name_H-M 'P 1'
_symmetry_Int_Tables_number 1
_symmetry_space_group_name_Hall 'P 1'
loop_
_atom_site_label
_atom_site_type_symbol
_atom_site_fract_x
_atom_site_fract_y
_atom_site_fract_z
Tl1 Tl 0.0000 0.0000 0.5000
Tl2 Tl 0.0000 0.5000 0.0000
Ba1 Ba 0.0000 0.0000 0.0000
Pt1 Pt 0.5000 0.5000 0.5000
Cd1 Cd 0.5000 0.0000 0.0000
```

Properties
- Total energy: -277.94 eV/cell



2.
Here is BaCdRe at its PBEsol-relaxed geometry from Alexandria via LeMat-Bulk. Energies are from meta-GGA SCAN.

The structure in CIF format:
```
data_BaCdRe
_chemical_formula_sum 'Ba1 Cd1 Re1'
_cell_length_a 5.0042
_cell_length_b 5.0042
_cell_length_c 5.0042
_cell_angle_alpha 60.00
_cell_angle_beta 60.00
_cell_angle_gamma 60.00
_symmetry_space_group_name_H-M 'P 1'
_symmetry_Int_Tables_number 1
_symmetry_space_group_name_Hall 'P 1'
loop_
_atom_site_label
_atom_site_type_symbol
_atom_site_fract_x
_atom_site_fract_y
_atom_site_fract_z
Re1 Re 0.0000 0.0000 0.0000
Ba1 Ba 0.5000 0.5000 0.5000
Cd1 Cd 0.2500 0.2500 0.2500
```

Properties
- Total energy: -136.73 eV/cell



3.
Here is Ba2TiCdRe at its PBEsol-relaxed geometry from Alexandria via LeMat-Bulk. Energies are from meta-GGA SCAN.

The structure in CIF format:
```
data_Ba2TiCdRe
_chemical_formula_sum 'Ba2 Ti1 Cd1 Re1'
_cell_length_a 5.1409
_cell_length_b 5.7637
_cell_length_c 5.7637
_cell_angle_alpha 90.00
_cell_angle_beta 90.00
_cell_angle_gamma 90.00
_symmetry_space_group_name_H-M 'P 1'
_symmetry_Int_Tables_number 1
_symmetry_space_group_name_Hall 'P 1'
loop_
_atom_site_label
_atom_site_type_symbol
_atom_site_fract_x
_atom_site_fract_y
_atom_site_fract_z
Re1 Re 0.5000 0.5000 0.5000
Ti1 Ti 0.0000 0.0000 0.0000
Ba1 Ba 0.0000 0.0000 0.5000
Ba2 Ba 0.0000 0.5000 0.0000
Cd1 Cd 0.5000 0.0000 0.0000
```

Properties
- Total energy: -188.25 eV/cell



4.
Here is Ba2CdRh at its PBEsol-relaxed geometry from Alexandria via LeMat-Bulk. Energies are from meta-GGA SCAN.

The structure in CIF format:
```
data_Ba2CdRh
_chemical_formula_sum 'Ba2 Cd1 Rh1'
_cell_length_a 4.6546
_cell_length_b 4.6054
_cell_length_c 6.4334
_cell_angle_alpha 90.00
_cell_angle_beta 111.21
_cell_angle_gamma 90.00
_symmetry_space_group_name_H-M 'P 1'
_symmetry_Int_Tables_number 1
_symmetry_space_group_name_Hall 'P 1'
loop_
_atom_site_label
_atom_site_type_symbol
_atom_site_fract_x
_atom_site_fract_y
_atom_site_fract_z
Rh1 Rh 0.6897 0.5000 0.3794
Ba1 Ba 0.1118 0.0000 0.2235
Ba2 Ba 0.3943 0.5000 0.7886
Cd1 Cd 0.8122 0.0000 0.6243
```

Properties
- Total energy: -144.26 eV/cell



5.
Here is BaCd3Rh at its PBEsol-relaxed geometry from Alexandria via LeMat-Bulk. Energies are from meta-GGA SCAN.
~~~

It has two commentaries:

  1. Vedārthaprakāśa by Sāyaṇa [4]
  2. Padārthamātravivrti by Bharatasvāmin.[5]


  1. Anuvākas means subsections.
  2. This ritual is termed as saptarātrika.
  3. Paramparā means tradition.
  4. He lived in A. D. 1315-1387.
  5. He lived in A. D. 1300.
  • The Concise Encyclopedia of Hinduism, Swami Harshananda, Ram Krishna Math, Bangalore